It seems that the news is awash with healthcare legislation these days as the debate over healthcare reform plays out in Washington. With all the publicity, I’ve been thinking about the impact on the advancement of the Electronic Health Record (EHR). One of the promises of an EHR is the opportunity to consolidate a patient’s records (Federation) and provide convenient access. The challenge of such a task will be who pays for it?!
I’ve recently been in discussions with an entity that believes it has some novel technology for a consolidated view of patient imaging information, and a means for quick access to them. Discussions have centered on market demand and timing for such capabilities.
It is not that there haven’t been prior efforts for such a concept. I can recall significant efforts over a decade ago in Illinois (Ameritech) and Wisconsin (WHIN), as well as a flurry of RHIO activity over the past decade. None of these efforts seems to have taken off on a major scale. Early efforts were probably hampered by interface compatibility, as the industry was in the early stages of information standards such as HL7 and DICOM. More recent efforts seem to be encumbered by economics, as entities wrestle with how to fund them.
Quantum chemistry results, kept here for reference:
'''
# 1
Below is C25H55Ca2N2O10P as an isolated structure in a non-equilibrium geometry, with properties calculated with wB97M-V/def2-TZVPD.

The geometry in XYZ format:
```
95
Properties=species:S:1:pos:R:3
Ca -0.399 -1.161 -1.404
Ca 1.354 -0.344 1.491
P 1.601 0.352 -1.240
O 0.466 0.657 -0.250
O 1.779 -0.994 -0.506
O 2.711 1.369 -1.223
O 0.927 0.005 -2.596
O -1.963 -3.135 2.082
C -1.558 -2.337 1.123
O -2.080 -2.283 -0.007
O -0.541 -1.661 1.328
H -2.742 -3.575 1.735
C -3.297 2.242 -2.352
C -3.789 2.007 -0.902
C -3.218 0.675 -0.595
O -2.138 0.359 -1.597
C -1.920 1.529 -2.245
H -3.241 3.298 -2.616
H -4.012 1.766 -3.023
H -4.866 1.943 -0.746
H -3.423 2.826 -0.283
H -3.864 -0.201 -0.540
H -2.888 0.740 0.442
H -1.488 1.364 -3.232
H -1.151 2.168 -1.810
C -2.322 -2.267 -5.426
C -3.387 -2.733 -4.500
C -2.819 -2.516 -3.095
O -1.759 -1.654 -3.305
C -1.745 -1.092 -4.682
H -2.688 -1.844 -6.362
H -1.569 -3.039 -5.577
H -3.846 -3.678 -4.791
H -4.245 -2.061 -4.470
H -2.494 -3.420 -2.580
H -3.599 -2.039 -2.502
H -0.770 -0.717 -4.993
H -2.469 -0.279 -4.737
C 1.440 -5.231 -1.729
C 1.734 -4.594 -3.010
C 1.271 -3.163 -2.827
O 0.228 -3.243 -1.842
C 0.105 -4.642 -1.484
H 2.068 -4.867 -0.915
H 1.353 -6.306 -1.890
H 1.212 -4.964 -3.893
H 2.784 -4.607 -3.303
H 0.945 -2.628 -3.719
H 2.043 -2.626 -2.276
H -0.736 -5.040 -2.053
H -0.147 -4.859 -0.446
C 1.041 -2.660 4.199
C 2.544 -2.444 3.807
N 2.731 -2.166 2.399
C 2.494 -3.416 1.664
C 3.237 -4.667 2.137
C 4.072 -1.685 1.932
C 4.754 -0.522 2.642
H 0.443 -1.931 3.651
H 0.893 -2.417 5.251
H 0.609 -3.648 4.040
H 2.848 -1.601 4.427
H 3.166 -3.214 4.264
H 1.422 -3.414 1.469
H 2.955 -3.332 0.680
H 3.120 -5.394 1.333
H 4.286 -4.466 2.355
H 2.712 -5.043 3.015
H 3.907 -1.596 0.859
H 4.841 -2.454 2.010
H 5.691 -0.337 2.117
H 4.978 -0.744 3.685
H 4.081 0.323 2.788
C 0.988 8.037 1.132
C -0.089 7.505 2.119
N -0.123 6.012 2.135
C -0.516 5.518 0.735
C -0.536 3.997 0.511
C -1.013 5.535 3.149
C -0.730 5.782 4.585
H 1.378 7.342 0.389
H 1.819 8.349 1.765
H 0.585 8.876 0.565
H 0.138 7.969 3.080
H -1.080 7.885 1.873
H -1.541 5.855 0.580
H 0.003 6.018 -0.083
H -1.374 3.489 0.989
H -0.800 3.729 -0.512
H 0.405 3.476 0.685
H -1.233 4.471 3.058
H -1.986 6.014 3.048
H -1.650 5.880 5.162
H -0.147 6.684 4.768
H -0.172 4.907 4.919
```

Its energy above the lowest of the compared OMol25 structures with the same formula, charge and spin is 170.71 kJ/mol. As for the multiplicity: 1. The value obtained for the energy is -3544.29445 a.u. The HOMO-LUMO gap comes out at 7.2 eV. The calculation puts the HOMO energy at -7.419 eV. As for the strongest force on any atom: 0.1017 Eh/bohr.

Results of the Löwdin charge analysis, in e, for atoms 1 through 4: atom 1 (Ca): 1.414, atom 2 (Ca): 1.482, atom 3 (P): -0.123, atom 4 (O): -0.601

# 2
Below is C25H56InO40P2S9 as an isolated structure in a non-equilibrium geometry, with properties calculated with wB97M-V/def2-TZVPD.

The geometry in XYZ format:
```
133
Properties=species:S:1:pos:R:3
C 6.960 2.192 -4.409
'''
Now there is the prospect of government-run healthcare. Will that be the impetus to make the Federated EHR viable? If there still is a private sector, can it compete with government initiatives to sustain EHR's? And, will it have the same access to such information? Perhaps healthcare reform will end up as a compromise and address only certain aspects of the whole system. What implications might reform have for the Federated EHR?
One could make the case that the Federated EHR can be economically justified on a national level on the basis of economies of scale. Without a national system, there seems little reason to pursue such initiatives. Regional entities have made the case for them on the basis of patient mobility across a number of cooperating entities and services. But can the same case be made on a national basis? How many patients are nationally mobile? Certainly, one can envision the situation of a patient with a recurring imaging need, such as a patient being treated for a recurring illness, that would benefit from access to prior imaging information should the patient be referred to another facility in a different part of the country. But, how many circumstances are there like this, and is it enough justification for a national repository? More likely, there is the case of a citizen with a medical history in one part of the country who moves to another area, and can benefit from accessibility to their prior medical records. But again, is this mobility significant enough to justify the cost?
Another justification might be the consolidation of a number of patient registries that could be used for research, and greater efficiencies in decease control. The counter argument might be made that individual healthcare entities and organizations would lose control over such data, and there might be greater confidentiality risks and chance for fraud.
In a free market economy, there may still be instances of a federated model that make economic sense. For example, one key opportunity might be to address how individual physician offices address the EHR, as there is little incentive for them individually to make an investment in technology to achieve it. A national entity that develops a web-based EHR would have the incentive to develop a federated model, in that the data could be more economically stored in a cloud than by each physician office investing in its own technology. Could this represent enough business potential for vendors to invest in the technology in a competitive market?
As I have wrestled with how to identify the market potential for technology that enhances the federated EHR, I am struck by the complexity of such a task in an uncertain healthcare environment. Should we go down the path of government run healthcare, it seems clear that the federated EHR will be mandated, and determining the market size will be easy. If we do not end up with a complete government-run system, will there be sufficient economics for a free market economy to invest? And if so, what will be the tipping point? Could the federal government mandate the federated EHR and foster free market competition by allowing universal access? Are there significant enough state-based initiatives to justify on that level?
I welcome any and all viewpoints to this perplexing issue. What do others think? Will federation improve or diminish the opportunity? Are there enough free market opportunities to justify independent investment? I look forward to a spirited debate!